The changing face of the high street

We’re used to stories of doom and gloom on the high street. The combination of the internet, out of town superstores and the recent recession have decimated the number and range of shops available in town centres, with many long-standing retail chains going into receivership.
However a new report from the University of Southampton’s Retail Research Group points to major, positive changes in town centres as shops adapt to the changing habits of consumers and reinvent themselves.
According to the research the key trend driving shopping behaviour is a desire for convenience. People want fast access to the products they are looking for, in a simple and seamless way. While this leads many to buy online rather than visiting physical shops, the high street has a significant role to play, both for the collection of internet deliveries and also to provide flagship showroom stores where customers can see a fuller range of products and get advice from helpful staff. 35% of people currently use click and collect, a figure that the report expects to double within five years, as more people choose the convenience and control of picking up their own orders.
The trend for convenience is also rapidly increasing the number of smaller grocery stores, catering to those that don’t want to visit a large supermarket. According to IGD, these convenience stores will be responsible for 24.1% of the grocery market by 2019, with the share of superstores and hypermarkets dropping from 42.2% to 34.9% over the same period.
So how can retailers embrace the changing needs of consumers and evolve to engage with them? There are four areas to look at:
1. Provide a consistent multichannel experience
=====
(1)
This record from Alexandria describes an optimized crystal structure of Li11Ga4Hg9. The functional is GGA-PBE.

Output
energy of formation	-304	meV/atom
crystal system	orthorhombic
SG	No. 65

Unit cell a=3.205 b=12.153 c=12.153 alpha=112.63 beta=90.00 gamma=90.00
Element x y z (fractional)
Li: 0.000 0.593 0.944
Li: 0.000 0.407 0.056
Li: 0.000 0.944 0.593
Li: 0.000 0.056 0.407
Li: 0.000 0.641 0.359
Li: 0.000 0.359 0.641
Li: 0.000 0.830 0.170
Li: 0.000 0.170 0.830
Li: 0.000 0.000 0.000
Li: 0.000 0.751 0.751
Li: 0.000 0.249 0.249
Ga: 0.500 0.562 0.749
Ga: 0.500 0.438 0.251
Ga: 0.500 0.749 0.562
Ga: 0.500 0.251 0.438
Hg: 0.500 0.620 0.147
Hg: 0.500 0.380 0.853
Hg: 0.500 0.147 0.620
Hg: 0.500 0.853 0.380
Hg: 0.500 0.793 0.960
Hg: 0.500 0.207 0.040
Hg: 0.500 0.960 0.793
Hg: 0.500 0.040 0.207
Hg: 0.500 0.500 0.500

(2)
This record from Alexandria describes an optimized crystal structure of Li3GaHg5. The functional is GGA-PBE.

Output
energy of formation	-236	meV/atom
crystal system	hexagonal
SG	No. 193

Unit cell a=5.867 b=8.494 c=8.493 alpha=120.00 beta=90.00 gamma=90.00
Element x y z (fractional)
Li: 0.750 0.366 0.366
Li: 0.750 0.000 0.634
Li: 0.750 0.634 0.000
Li: 0.250 0.634 0.634
Li: 0.250 0.000 0.366
Li: 0.250 0.366 0.000
Ga: 0.000 0.000 0.000
Ga: 0.500 0.000 0.000
Hg: 0.000 0.667 0.333
Hg: 0.500 0.333 0.667
Hg: 0.000 0.333 0.667
Hg: 0.500 0.667 0.333
Hg: 0.750 0.699 0.699
Hg: 0.750 0.000 0.301
Hg: 0.750 0.301 0.000
Hg: 0.250 0.301 0.301
Hg: 0.250 0.000 0.699
Hg: 0.250 0.699 0.000

(3)
This record from Alexandria describes an optimized crystal structure of LiGa4Hg. The functional is GGA-PBE.

Output
distance to the lowest polymorph of the same formula	0.000	eV per atom
energy of formation	-71	meV/atom
crystal system	monoclinic
SG	No. 12

Unit cell a=4.524 b=4.803 c=6.088 alpha=81.29 beta=90.00 gamma=118.10
Element x y z (fractional)
Li: 0.000 0.000 0.000
Ga: 0.341 0.683 0.234
Ga: 0.659 0.317 0.766
Ga: 0.333 0.665 0.778
Ga: 0.667 0.335 0.222
Hg: 0.000 0.000 0.500

(4)
This record from Alexandria describes an optimized crystal structure of LiGa2Hg. The functional is GGA-PBE.

Output
energy of formation	-18	meV/atom
crystal system	tetragonal
SG	No. 122

Unit cell a=7.854 b=7.854 c=6.184 alpha=50.57 beta=50.57 gamma=90.00
Element x y z (fractional)
Hg: 0.000 0.000 0.000
Hg: 0.750 0.250 0.500
Ga: 0.635 0.125 0.250
Ga: 0.115 0.625 0.250
Ga: 0.375 0.365 0.750
Ga: 0.875 0.885 0.750
Li: 0.500 0.500 0.000
Li: 0.250 0.750 0.500

(5)
This record from Alexandria describes an optimized crystal structure of LiGaHg2. The functional is GGA-PBE.

Output
energy of formation	29	meV/atom
crystal system	orthorhombic
SG	No. 71

Unit cell a=6.469 b=6.469 c=6.469 alpha=152.88 beta=59.01 gamma=128.67
Element x y z (fractional)
Li: 0.000 0.000 0.000
Ga: 0.500 0.000 0.500
Hg: 0.757 0.000 0.757
Hg: 0.243 0.000 0.243

(6)
This record from Alexandria describes an optimized crystal structure of Li2Ga3Hg8. The functional is GGA-PBE.

Output
energy of formation	-64	meV/atom
=====
Customers now think nothing of changing channels and devices multiple times during the buying journey. Make it easy for them to swap channels and provide a consistent experience and information, no matter how they contact you.
[Someone pasted materials data at this point]
<<<
1.
Here is crystalline Ba2LaTc2 at its relaxed geometry from Alexandria. Energies are from GGA-PBE.

The value obtained for the energy above the most stable polymorph in this dataset is 0.0 kJ per mole of atoms. For the density, the calculation gives 6.9 g/cm³. The space group is No. 127. As for the magnetization: 2.89 μB/f.u. The value obtained for the volume is 292.7 Å³/cell. The calculation puts the energy relative to the elements at 1.117 eV per atom.

a b c (Å): 9.3951 9.3951 3.3164
angles (deg): 90.00 90.00 90.00
Closest atoms and distances in Å follow each position.
Element x y z (fractional)
Ba (0.1319, 0.3681, 0.0000)  6 Tc 3.07-3.34, 2 Ba 3.32
Ba (0.3681, 0.8681, 0.0000)  6 Tc 3.07-3.34, 2 Ba 3.32
Ba (0.6319, 0.1319, 0.0000)  6 Tc 3.07-3.34, 2 Ba 3.32
Ba (0.8681, 0.6319, 0.0000)  6 Tc 3.07-3.34, 2 Ba 3.32
La (0.0000, 0.0000, 0.0000)  2 La 3.32, 4 Ba 3.67
La (0.5000, 0.5000, 0.0000)  2 La 3.32, 4 Ba 3.67
Tc (0.1736, 0.6736, 0.5000)  6 Ba 3.07-3.34, 2 Tc 3.32
Tc (0.3264, 0.1736, 0.5000)  6 Ba 3.07-3.34, 2 Tc 3.32
Tc (0.6736, 0.8264, 0.5000)  6 Ba 3.07-3.34, 2 Tc 3.32
Tc (0.8264, 0.3264, 0.5000)  6 Ba 3.07-3.34, 2 Tc 3.32


2.
Here is crystalline Ba2LaTc2 at its relaxed geometry from Alexandria. Energies are from GGA-PBE.

The value obtained for the energy above the most stable polymorph in this dataset is 13.7 kJ per mole of atoms. For the density, the calculation gives 6.5 g/cm³. The space group is No. 139. As for the magnetization: 2.55 μB/f.u. The value obtained for the volume is 155.6 Å³/cell. The calculation puts the energy relative to the elements at 1.259 eV per atom.

a b c (Å): 6.7170 6.7170 6.7170
angles (deg): 133.73 133.73 67.51
Closest atoms and distances in Å follow each position.
Element x y z (fractional)
Ba (0.1441, 0.1441, 0.0000)  4 Tc 2.89, 1 Ba 3.22
Ba (0.8559, 0.8559, 0.0000)  4 Tc 2.89, 1 Ba 3.22
La (0.5000, 0.5000, 0.0000)  8 Tc 3.84, 10 Ba 3.98-4.06
Tc (0.2500, 0.7500, 0.5000)  4 Ba 2.89
Tc (0.7500, 0.2500, 0.5000)  4 Ba 2.89


(1)
Zr3TcPt | meta-GGA SCAN | single point on PBEsol structure

Calculated values
DFT formation energy: 352 meV/atom

Cell lengths 4.8316, 4.8316, 4.8316 Å; angles 90.00, 90.00, 90.00 degrees
With the nearest neighbours (Å) after each atom.
Positions (direct):
Zr: 0.0000 0.5000 0.0000  2 Tc 2.42
Zr: 0.0000 0.0000 0.5000  2 Tc 2.42
Zr: 0.5000 0.0000 0.0000  2 Tc 2.42
Tc: 0.0000 0.0000 0.0000  6 Zr 2.42
Pt: 0.5000 0.5000 0.5000  12 Zr 3.42

=====

(2)
LaTlCd2 | meta-GGA SCAN | single point on PBEsol structure

Calculated values
DFT formation energy: -381 meV/atom

Cell lengths 5.2152, 5.2140, 5.2140 Å; angles 60.01, 59.99, 59.99 degrees
With the nearest neighbours (Å) after each atom.
Positions (direct):
Tl: 0.2500 0.2500 0.2500  4 Cd 3.19, 4 La 3.19
La: 0.5000 0.5000 0.5000  4 Tl 3.19, 4 Cd 3.19
Cd: 0.9999 0.0001 0.0001  4 Cd 3.19, 4 Tl 3.19
Cd: 0.7500 0.7500 0.7500  4 Cd 3.19, 4 La 3.19

=====

(3)
Mg4NiP | meta-GGA SCAN | single point on PBEsol structure

Calculated values
>>>
2. Integrate mobile
Some retailers have seen mobile commerce as a threat to physical sales, with the fear of consumers ‘showrooming’ – visiting stores to examine goods and then buying them online. However, by making it convenient and seamless to access further information, reviews and vouchers through mobile devices while in-store, retailers are likely to increase, rather than lose sales.
3. Deliver the in-store experience
Retailers such as Apple that have thrived on the high street have made their stores a destination, putting on training sessions, providing specialist staff to demonstrate new technology and generally creating a buzz. This model can be adapted by most retailers, with special events and product demonstrations to draw people in, backed up by knowledgeable and well-informed staff.
........
Below is a relaxed structure of VAg2Cl5, with properties calculated at the PBE-GGA level.

Summary:
* raw total energy: -3.78 eV per atom
* crystal system: triclinic
* raw formation energy: -0.777 eV/atom

a = 6.388 Å, b = 7.052 Å, c = 7.070 Å
α = 78.99°, β = 64.44°, γ = 64.60°
Element x y z (fractional)
V 0.000 0.000 0.000
Ag 0.387 0.424 0.990
Ag 0.387 0.989 0.425
Cl 0.237 0.097 0.098
Cl 0.384 0.752 0.752
Cl 0.616 0.249 0.248
Cl 0.894 0.726 0.169
Cl 0.896 0.169 0.726



Below is a relaxed structure of BeNi2Au, with properties calculated at the PBE-GGA level.

Summary:
* formation energy from the elements: 3.4 kJ per mole of atoms
* raw total energy: -4.61 eV per atom
* density of states at the Fermi level: 3.1 states/eV per cell
* crystal system: orthorhombic

a = 4.265 Å, b = 4.265 Å, c = 2.823 Å
α = 90.00°, β = 90.00°, γ = 105.98°
Element x y z (fractional)
Be 0.000 0.000 0.000
Ni 0.000 0.500 0.500
Ni 0.500 0.000 0.500
Au 0.500 0.500 0.000

----------

DFT (PBE-GGA) results for a relaxed structure of CdAs3Cl.

Cell and atoms, written as POSCAR:
```
CdAs3Cl
1.0
4.938 0.000 0.000
0.000 4.938 0.000
0.000 0.000 4.938
As Cl Cd
3 1 1
Cartesian
0.000 2.469 0.000
0.000 0.000 2.469
2.469 0.000 0.000
0.000 0.000 0.000
2.469 2.469 2.469
```

Energy above the most stable polymorph in this dataset = 0 meV per atom
Magnetic moment = 0.0 Bohr magnetons per cell
DOS(E_F) = 4.44 states/eV/f.u.
Uncorrected formation energy = 0.968 eV/atom
Space-group type = Pm-3m

***

DFT (PBE-GGA) results for a relaxed structure of Cd3AsCl3.

Cell and atoms, written as POSCAR:
```
Cd3AsCl3
1.0
-4.996 3.720 0.253
-3.207 -4.794 7.134
5.459 7.235 1.417
Cd As Cl
6 2 6
Cartesian
-1.328 5.644 5.981
-2.389 4.495 1.941
0.190 7.913 2.615
-1.416 0.518 2.824
-0.355 1.667 6.864
-2.934 -1.750 6.190
-1.175 6.018 3.512
-1.569 0.144 5.293
1.141 3.714 6.312
-0.117 2.351 1.526
2.940 6.402 2.321
-3.885 2.448 2.493
-2.627 3.811 7.279
-5.684 -0.240 6.484
```

Magnetic moment = 0.0 Bohr magnetons per cell
DOS(E_F) = 2.90 states/eV/f.u.
Uncorrected formation energy = -0.539 eV/atom
Space-group type = Cmcm

***

DFT (PBE-GGA) results for a relaxed structure of CdAs2Cl.

Cell and atoms, written as POSCAR:
```
CdAs2Cl
1.0
4.897 0.000 0.000
0.007 4.897 0.000
-2.452 -2.449 3.461
As Cl Cd
2 1 1
Cartesian
0.000 0.000 0.000
0.003 2.449 1.730
2.449 0.000 1.730
2.452 2.449 0.000
```

Energy above the most stable polymorph in this dataset = 449 meV per atom
Magnetic moment = 0.0 Bohr magnetons per cell
DOS(E_F) = 2.19 states/eV/f.u.
Uncorrected formation energy = 0.177 eV/atom
Space-group type = F-43m

***

DFT (PBE-GGA) results for a relaxed structure of Cd2AsCl.

Cell and atoms, written as POSCAR:
```
Cd2AsCl
1.0
-0.845 -6.026 3.141
1.854 -5.167 4.094
-1.886 1.098 4.354
As Cl Cd
1 1 2
Cartesian
-0.658 -7.571 8.692
-0.219 -2.524 2.897
-1.779 0.523 4.571
-0.545 -4.472 5.577
```

Energy above the most stable polymorph in this dataset = 505 meV per atom
Magnetic moment = 0.0 Bohr magnetons per cell
........
4. Make pick up seamless
If 70% of consumers are going to be using click and collect, retailers are going to need to differentiate themselves from the competition by making the process simple and straightforward. It also provides the opportunity to upsell and cross-sell, providing accessories or other complementary items to shoppers, increasing revenues.
As the University of Southampton report shows, the death of the high street has been exaggerated. Still, in order to thrive, retailers will need to evolve to meet the need for convenience and embrace a multichannel world..